Identifying runtime errors

Fortran has several features that help you find runtime errors. Fortran runtime messages are discussed in z/OS Language Environment Runtime Messages. Other debugging aids include the optional traceback map, program interruption messages, abnormal termination dumps, and operator messages.
  • The optional traceback map helps you identify where errors occurred while running your application. The TERMTHDACT(TRACE) runtime option, which is set by default under Language Environment, generates a dump containing the traceback map.

    You can also get a traceback map at any point in your routine by invoking the ERRTRA subroutine.

  • Program interruption messages are generated whenever the program is interrupted during execution. Program interruption messages are written to the Language Environment message file.

    The program interruption message indicates the exception that caused the termination; the completion code from the system indicates the specification or operation exception resulting in termination.

  • Program interruptions causing an abnormal termination produce a dump, which displays the completion code and the contents of registers and system control fields.
    To display the contents of main storage as well, you must request an abnormal termination (ABEND) dump by including a SYSUDUMP DD statement in the appropriate job step. The following example shows how the statement can be specified for IBM-supplied cataloged procedures:
  • You can request various dumps by invoking any of several dump service routines while your program runs. These dump service routines are discussed in Generating a Language Environment dump of a Fortran routine.
  • Operator messages are displayed when your program issues a PAUSE or STOP n statement. These messages help you understand how far execution has progressed before reaching the PAUSE or STOP statement.
    The operator message can take the following forms:
    String of 1–5 decimal digits you specified in the PAUSE or STOP statement. For the STOP statement, this number is placed in R15.
    Character constant you specified in the PAUSE or STOP statement.
    Printed when a PAUSE statement containing no characters is executed (not printed for a STOP statement).

== Someone pasted data records at this point ==
********
[1]
Ho2Pd3Pt PBE optimized geometry; N(E_F) = 9.21 states/eV per cell; SG = No. 70; ΔE_f = -721 meV/atom; density = 11.26 g/cm³; total magnetization = 0.00 μB per formula unit
1.0
8.152 1.443 -5.570
-1.092 8.207 -5.570
-1.388 -1.898 9.463
Ho Pd Pt
8 12 4
direct
0.863 0.639 0.698
0.415 0.692 0.802
0.361 0.137 0.302
0.308 0.585 0.198
0.942 0.165 0.302
0.889 0.613 0.198
0.387 0.111 0.802
0.835 0.058 0.698
0.284 0.716 0.000
0.125 0.875 0.250
0.125 0.375 0.250
0.766 0.766 0.000
0.716 0.284 0.000
0.016 0.516 0.500
0.625 0.875 0.750
0.125 0.875 0.750
0.484 0.984 0.500
0.534 0.466 0.500
0.234 0.234 0.000
0.966 0.034 0.500
0.361 0.361 0.721
0.639 0.639 0.279
0.611 0.111 0.221
0.889 0.389 0.779

***

[2]
Ho4Pd3Pt3 PBE optimized geometry; N(E_F) = 6.03 states/eV per cell; SG = No. 220; ΔE_f = -870 meV/atom; density = 12.61 g/cm³; total magnetization = 0.00 μB per formula unit
1.0
-7.469 -1.408 2.853
-0.484 2.657 -7.656
4.318 -6.872 0.212
Ho Pd Pt
8 6 6
direct
0.000 0.000 0.256
0.500 0.256 0.500
0.744 0.244 0.244
0.000 0.000 0.756
0.756 0.500 0.000
0.500 0.756 0.500
0.256 0.500 0.000
0.244 0.744 0.744
0.625 0.750 0.875
0.875 0.250 0.625
0.125 0.375 0.250
0.375 0.125 0.750
0.250 0.875 0.125
0.750 0.625 0.375
0.125 0.750 0.375
0.375 0.250 0.125
0.625 0.875 0.250
0.875 0.625 0.750
0.250 0.375 0.625
0.750 0.125 0.875

***

[3]
HoPd2Pt2 PBE optimized geometry; N(E_F) = 4.74 states/eV per cell; SG = No. 139; ΔE_f = -260 meV/atom; density = 12.67 g/cm³; total magnetization = 0.00 μB per formula unit
1.0
4.948 0.000 0.000
0.000 4.948 0.000
-2.474 -2.474 4.110
Ho Pd Pt
1 2 2
direct
0.000 0.000 0.000
0.653 0.653 0.306
0.347 0.347 0.694
0.250 0.750 0.500
0.750 0.250 0.500

***

[4]
Ho2PdPt4 PBE optimized geometry; N(E_F) = 9.57 states/eV per cell; SG = No. 64; ΔE_f = -757 meV/atom; density = 14.71 g/cm³; total magnetization = 0.00 μB per formula unit
1.0
-6.387 -6.216 -1.293
1.508 -0.456 -5.257
2.853 -3.766 4.010
Ho Pd Pt
4 2 8
direct
0.000 0.645 0.289
0.000 0.355 0.711
0.500 0.855 0.711
0.500 0.145 0.289
0.000 0.000 0.000
0.500 0.500 0.000
0.750 0.749 0.000
0.750 0.500 0.500
0.750 0.000 0.500
0.750 0.249 0.000
0.250 0.751 0.000
0.250 0.000 0.500
0.250 0.500 0.500
0.250 0.251 0.000

***

[5]
HoPuPdPt PBE optimized geometry; N(E_F) = 13.33 states/eV per cell; SG = No. 38; ΔE_f = -853 meV/atom; density = 13.16 g/cm³; total magnetization = 5.60 μB per formula unit
1.0
3.772 0.000 0.000
0.000 4.440 0.000
-1.886 0.000 5.353
Ho Pu Pd Pt
1 1 1 1
direct
0.138 0.000 0.277
0.861 0.500 0.721
0.412 0.000 0.825
0.589 0.500 0.177

***

[6]
HoPuPdPt PBE optimized geometry; N(E_F) = 12.41 states/eV per cell; SG = No. 216; ΔE_f = -799 meV/atom; density = 13.71 g/cm³; total magnetization = 5.69 μB per formula unit
1.0
-2.762 -0.002 -4.115
-2.911 -3.877 -1.028
-4.925 0.446 0.322
Pd Ho Pt Pu
1 1 1 1
direct
0.750 0.750 0.750
0.000 0.000 0.000
0.250 0.250 0.250
0.500 0.500 0.500

~~~~~

Sr3ScS PBE-GGA relaxed; space-group type = Pm-3m
1.0
-2.429 0.358 -5.631
-5.132 -2.689 2.043
********

    A PAUSE message causes the program to stop running pending an operator response. The format of the operator's response to the message depends on the system being used.

## Here the text breaks off for materials data
┌──
Crystalline Pm4Zr3UN8 at its relaxed geometry. Source: Alexandria, functional PBE.

The value obtained for the spin magnetization is 0.043 μB/f.u. As for the raw formation energy: -151.18 kJ per mole of atoms. The raw total energy comes out at -442.8 eV for the cell shown.

The structure belongs to space group R-3m (No. 166, hexagonal axes); the cell edges are 6.8227, 6.8227 and 17.1309 Å and the angles 90.00°, 90.00° and 120.00°. The asymmetric unit holds Pm at (0.0000, 0.0000, 0.0000), Pm at (0.0000, 0.5000, 0.0000), Zr at (0.0000, 0.5000, 0.5000), U at (0.0000, 0.0000, 0.5000), N at (0.0000, 0.0000, 0.2393) and N at (0.0032, 0.5016, 0.2379).


Crystalline HoErAgRu at its relaxed geometry. Source: Alexandria, functional PBE.

The value obtained for the spin magnetization is 0.000 μB/f.u. The value obtained for the energy above the most stable polymorph in this dataset is 0.25 eV per formula unit. The calculation puts the formation energy at -378 meV/atom. The raw total energy comes out at -91.1 eV for the cell shown.

The structure belongs to space group F-43m (No. 216); the cell edges are 6.969, 6.969 and 6.969 Å and the angles 90.00°, 90.00° and 90.00°. The asymmetric unit holds Ho at (0.000, 0.000, 0.000), Er at (0.000, 0.000, 0.500), Ag at (0.250, 0.250, 0.250) and Ru at (0.250, 0.250, 0.750).


Crystalline Sm4DySe6 at its relaxed geometry. Source: Alexandria, functional PBE.

The value obtained for the spin magnetization is 0.000 μB/f.u. As for the raw formation energy: -177.24 kJ per mole of atoms. The raw total energy comes out at -258.4 eV for the cell shown.

The structure belongs to space group Cmcm (No. 63); the cell edges are 4.044, 13.705 and 21.113 Å and the angles 90.00°, 90.00° and 90.00°. The asymmetric unit holds Sm at (0.000, 0.088, 0.128), Sm at (0.000, 0.359, 0.039), Dy at (0.000, 0.153, 0.750), Se at (0.000, 0.000, 0.000), Se at (0.000, 0.195, 0.250), Se at (0.000, 0.270, 0.592) and Se at (0.000, 0.444, 0.169).


Crystalline TaMnSb2 at its relaxed geometry. Source: Alexandria, functional PBE.

The value obtained for the spin magnetization is 2.367 μB/f.u. The value obtained for the energy above the most stable polymorph in this dataset is 2.01 eV per formula unit. As for the raw formation energy: 52.72 kJ per mole of atoms. The raw total energy comes out at -108.3 eV for the cell shown.

The structure belongs to space group I-42d (No. 122); the cell edges are 4.259, 4.259 and 19.014 Å and the angles 90.00°, 90.00° and 90.00°. The asymmetric unit holds Ta at (0.000, 0.000, 0.000), Mn at (0.000, 0.000, 0.500) and Sb at (0.242, 0.250, 0.625).


Crystalline Al2GaAg at its relaxed geometry. Source: Alexandria, functional PBE.

The value obtained for the spin magnetization is 0.000 μB/f.u. The calculation puts the formation energy at 61 meV/atom. The raw total energy comes out at -39.4 eV for the cell shown.
└──

  • Under Language Environment, error messages produced by Language Environment and Fortran are written to a common message file. Its ddname is specified in the MSGFILE runtime option. The default ddname is SYSOUT.
    Fortran information directed to the message file includes:
    • Error messages resulting from unhandled conditions
    • Printed output from any of the dump services (SDUMP, DUMP/PDUMP, CDUMP/CPDUMP)
    • Output produced by a WRITE statement with a unit identifier having the same value as the Fortran error message unit
    • Output produced by a WRITE statement with * given as the unit identifier (assuming the Fortran error message unit and standard print unit are the same unit)
    • Output produced by the PRINT statement (assuming the Fortran error message unit and the standard print unit are the same unit)

    For more information about handling message output using the Language Environment MSGFILE runtime option, see z/OS Language Environment Programming Guide.